
Category Archives for "Darren’s Blog"

One Million Views

It’s hard to believe that my blog has just surpassed 1000000 views! I started this blog out just on the side to go over things I was learning. I’ve learned a lot in the process, and managed to bag myself two CCIEs, a JNCIE-SP, a job at Google, and the opportunity to write a book … Continue reading One Million Views

Linked lists

Python has a rather handy list method. It allows you to add and remove items at will. How it actually does this is rather elaborate and you can read all about it over here. C doesn’t give you the same flexibility. When you create an array, it is of X size. That size cannot change … Continue reading Linked lists

Structs in C

Back in March 2014 I wrote an app in Python that would log in and check various OSPF properties. When putting the data into a structure, I was limited both by knowledge and Python at the time. I ended up using a dictionary which worked rather well, but I was never 100% happy with it. … Continue reading Structs in C

Life is busy

I’ve had zero time to update the blog recently. As some of you may know, I recently started a new job with Google. I’ve moved my family and I over from the UK to Dublin, Ireland. To say I’m busy right now is an understatement. Not only is there a ton of reading for me […]

Python and MySQL

Let me preface this post by stating I am not a database expert. I use them occasionally now and then. The below post probably doesn’t show best practices. If you have any suggestions feel free to comment. Over the weekend I’ve been testing various ways for me to store, update, and retrieve data from a […]

Python paths and Cron logging

I created two new twitter accounts yesterday and the amount of followers in such a short time is great to see. Feel free to follow them here – @bgp4_table and @bgp6_table The accounts get updated through Python, and that Python script is run via a cron job once every six hours. I noticed that when […]

Using bird to pull global BGP route counts

Someone pasted calculated molecules at this point:
'''
Entry 1:
ORCA calculation (ωB97M-V/def2-TZVPD) on a structure of composition C24H20BN9O4RuSe.

Positions of all 60 atoms, in Å:
Ru1 -0.03918 -0.31069 -0.17499
C1 3.11963 -2.57389 1.48567
C2 3.31261 -2.10638 2.77815
C3 2.59204 -1.01983 3.20410
C4 1.66937 -0.40845 2.35778
N1 1.51250 -0.84520 1.10010
C5 2.21129 -1.92174 0.69171
N2 0.99123 0.67960 2.91837
C6 0.07765 1.33918 2.32830
N3 -0.32717 1.30292 1.00471
C7 -1.40456 2.10569 0.84463
N4 -2.19025 2.27892 -0.16760
C8 -2.00737 1.69389 -1.40212
C9 -2.95549 2.04073 -2.38005
C10 -2.78718 1.64010 -3.67854
C11 -1.65445 0.89967 -4.01554
C12 -0.78970 0.55123 -3.01142
N5 -0.96284 0.90412 -1.71972
C13 -1.66374 2.82618 2.12706
C14 -2.62625 3.74900 2.47355
C15 -2.65424 4.17153 3.80071
C16 -1.74037 3.67733 4.72994
C17 -0.76607 2.75418 4.35853
C18 -0.75264 2.35068 3.04142
H1 3.64146 -3.43955 1.10362
H2 4.00207 -2.60391 3.44817
H3 2.66763 -0.63113 4.20837
H4 2.02351 -2.25520 -0.31715
H5 -3.79642 2.63632 -2.05517
H6 -3.51110 1.91685 -4.43528
H7 -1.45584 0.58186 -5.02914
H8 0.08738 -0.03193 -3.22932
H9 -3.32969 4.11500 1.73706
H10 -3.40615 4.88116 4.12317
H11 -1.80249 4.00701 5.75951
H12 -0.05123 2.34973 5.06360
B1 1.78987 -2.00692 -2.92528
N6 2.23859 -0.61200 -2.34695
C19 3.37989 -0.01421 -2.71421
C20 3.57717 1.10976 -1.93388
C21 2.47366 1.12565 -1.08589
N7 1.67787 0.09039 -1.34443
N8 0.30585 -2.29280 -2.59853
C22 -0.47774 -3.10614 -3.32150
C23 -1.64505 -3.33591 -2.62303
C24 -1.49559 -2.60579 -1.44195
N9 -0.31423 -1.98757 -1.43951
H13 2.50417 -2.86718 -2.44312
H14 1.89119 -1.95361 -4.13377
H15 3.98272 -0.44489 -3.49681
H16 4.39331 1.80945 -1.97746
H17 2.20453 1.82224 -0.30731
H18 -0.13714 -3.47742 -4.27450
H19 -2.48232 -3.94613 -2.91382
H20 -2.14032 -2.53465 -0.58345
O1 -1.77055 -3.78727 1.31755
Se1 -1.40374 -2.49938 2.24043
O2 0.01893 -2.63265 3.02235
O3 -1.18149 -1.20880 1.09700
O4 -2.62353 -1.94913 3.15588

Forces on the atoms, in the same order (eV/Å):
1.71 -0.08 -1.11
0.03 0.00 -0.07
0.00 0.02 0.11
0.17 -0.07 0.15
-0.05 0.71 -0.05
-0.50 -0.90 0.34
0.07 0.05 0.12
0.18 -0.76 0.07
-0.13 0.47 -0.26
0.18 0.12 0.36
-0.08 0.16 0.33
-0.16 -0.14 -0.39
0.19 0.39 0.35
-0.08 0.08 -0.06
-0.06 0.06 0.00
0.05 0.03 -0.03
-0.03 0.10 0.09
-0.87 -0.60 0.14
-0.05 -0.11 -0.43
-0.08 0.11 0.07
0.01 -0.03 -0.09
0.06 -0.05 0.00
0.01 0.08 0.10
0.33 -0.31 -0.06
-0.02 0.01 -0.01
0.00 0.01 0.01
0.01 0.00 -0.01
-0.05 -0.06 0.04
0.02 0.02 -0.03
-0.02 -0.03 0.02
0.00 0.00 0.02
-0.01 -0.07 0.01
-0.03 -0.04 0.03
0.01 0.01 -0.01
0.02 0.01 0.00
-0.05 0.00 0.01
-0.02 -0.07 0.10
-0.03 0.03 -0.06
0.00 -0.04 0.00
-0.01 0.00 0.00
0.04 0.16 -0.05
0.00 0.61 0.02
0.19 0.04 -0.07
-0.05 0.00 -0.02
0.00 0.05 0.03
0.03 -0.15 -0.10
-0.10 -0.17 0.11
-0.03 0.08 -0.02
0.07 -0.03 0.08
-0.04 0.01 -0.01
-0.01 -0.01 0.01
-0.02 -0.02 -0.02
0.02 0.02 0.02
0.03 0.00 0.01
-0.02 0.03 -0.02
0.06 0.19 0.25
-0.02 0.06 0.10
-0.27 0.01 -0.20
-0.92 0.15 0.27
0.30 -0.19 -0.20

Values from the calculation:
spin multiplicity: 2
<S²>: 0.754
'''

For an electronics project I’m working on I wanted a way to check the current global routing table every five minutes for both IPv4 and IPv6. I did not want to log into anyone else’s router or looking glass as checking every 5 minutes may be considered abuse. So I thought to spin up a […]

When and when not to multithread

At the end of my last post on Python multithreading, I said my example was not the best. Let me expand some more on this. While testing code in the previous post, I noticed that certain code was slower when multiple threads were running. Also these threads are not tied to a CPU. If we […]

Basic Python Multithreading

The first ‘proper’ Python app I made logged onto a list of devices and pulled out OSPF state. This worked perfectly fine. The app correctly works out whether it can log into a device or not, and waits a few seconds to ensure a device actually responds. The issue is that if I have a […]

Attached: records of molecules:
=====
(1)
67
Properties=species:S:1:pos:R:3 method="wB97M-V/def2-TZVPD" smiles="CC[C@H](C)[C@@H]1C[C@@H]([C@H](Br)[C@@H](C)Br)C(=O)O1.COC[C@@H](C)N.COC[C@@H](C)N" charge=0 homo_ev=-9.1
C 2.93 0.64 -1.52
C 3.07 -0.45 -2.58
C 2.53 -1.84 -2.24
C 2.82 -2.77 -3.43
C 1.04 -1.81 -1.96
C 0.51 -1.29 -0.63
C -0.95 -1.75 -0.67
C -1.97 -0.71 -1.15
Br -3.76 -1.48 -1.25
C -1.61 0.03 -2.43
C -1.88 -0.72 -3.73
Br -2.51 1.76 -2.47
C -0.80 -3.06 -1.47
O -1.61 -3.92 -1.63
O 0.47 -3.16 -1.95
H 1.90 1.00 -1.41
H 3.29 0.30 -0.54
H 3.53 1.51 -1.80
H 4.14 -0.58 -2.78
H 2.61 -0.11 -3.51
H 3.05 -2.23 -1.37
H 2.33 -3.74 -3.32
H 2.49 -2.31 -4.36
H 3.90 -2.93 -3.51
H 0.55 -1.31 -2.80
H 0.96 -1.90 0.16
H 0.72 -0.25 -0.37
H -1.29 -2.06 0.32
H -2.07 0.03 -0.35
H -0.56 0.29 -2.37
H -1.63 -1.78 -3.63
H -1.30 -0.28 -4.54
H -2.94 -0.66 -4.00
C -6.46 4.52 0.66
C -5.10 3.88 0.37
C -4.07 4.07 1.49
O -3.52 5.37 1.58
C -4.27 6.30 2.32
N -4.61 4.35 -0.93
H -6.42 5.60 0.54
H -7.20 4.14 -0.04
H -6.79 4.29 1.67
H -5.25 2.80 0.28
H -3.23 3.40 1.30
H -4.50 3.78 2.46
H -4.76 5.83 3.18
H -5.03 6.80 1.71
H -3.57 7.06 2.69
H -3.77 3.84 -1.17
H -4.32 5.32 -0.83
C 3.83 -3.72 4.22
C 3.43 -2.25 4.06
C 2.92 -1.89 2.67
O 3.93 -1.79 1.68
C 4.34 -3.01 1.11
N 4.54 -1.41 4.50
H 4.79 -3.92 3.74
H 3.94 -3.96 5.27
H 3.08 -4.38 3.78
H 2.60 -2.06 4.75
H 2.46 -0.90 2.72
H 2.15 -2.60 2.34
H 3.50 -3.70 0.97
H 5.10 -3.51 1.72
H 4.78 -2.79 0.14
H 4.25 -0.44 4.53
H 5.28 -1.45 3.80


(2)
65
Properties=species:S:1:pos:R:3 method="wB97M-V/def2-TZVPD" charge=-1 homo_ev=-2.3
Br 1.12 -1.16 0.83
C 1.09 -3.13 1.24
C 2.42 -3.50 1.96
C 3.40 -4.19 0.98
C 4.47 -3.26 0.43
C 4.79 -3.34 -0.91
C 5.72 -2.49 -1.43
C 6.35 -1.55 -0.66
C 6.06 -1.46 0.68
C 5.12 -2.33 1.19
H 0.30 -3.26 2.00
H 2.20 -4.13 2.83
H 2.81 -2.57 2.36
H 2.79 -4.52 0.13
H 3.84 -5.11 1.39
H 4.29 -4.08 -1.53
H 5.98 -2.57 -2.48
H 7.06 -0.87 -1.11
H 6.51 -0.74 1.35
H 4.85 -2.27 2.24
C -1.69 -4.62 -1.57
C -2.45 -3.30 -1.57
O -2.43 -2.71 -0.28
H -2.12 -5.31 -0.85
H -1.71 -5.08 -2.56
H -0.65 -4.45 -1.28
H -3.50 -3.47 -1.84
H -2.01 -2.61 -2.29
H -1.50 -2.56 -0.06
C 5.52 3.35 2.71
C 5.36 1.84 2.64
O 6.58 1.22 2.23
H 5.82 3.75 1.74
H 4.59 3.83 3.01
H 6.30 3.62 3.43
H 4.61 1.57 1.90
H 5.07 1.44 3.61
H 7.26 1.44 2.88
C -3.21 0.74 1.18
C -3.54 1.25 -0.21
O -2.36 1.27 -1.01
H -2.46 1.38 1.66
H -4.10 0.72 1.81
H -2.79 -0.26 1.13
H -3.93 2.26 -0.16
H -4.28 0.61 -0.69
H -2.01 0.37 -1.05
C -4.60 2.50 -4.38
C -4.74 1.00 -4.55
O -3.52 0.43 -5.03
H -4.32 2.97 -5.33
H -5.53 2.94 -4.02
H -3.80 2.73 -3.67
H -5.52 0.77 -5.28
H -5.00 0.52 -3.60
H -2.84 0.63 -4.38
C -5.27 5.54 2.34
C -4.56 4.75 1.26
O -5.51 4.09 0.41
H -5.90 4.88 2.94
H -4.56 6.04 2.99
H -5.93 6.29 1.89
H -3.92 3.98 1.69
H -3.94 5.40 0.64
H -6.06 4.77 0.02


(3)
73
Properties=species:S:1:pos:R:3 method="wB97M-V/def2-TZVPD" charge=+1 homo_ev=-10.5
Cd -2.15 0.56 4.35
Cd -0.29 3.08 1.68
C -0.11 -0.89 0.72
C -0.74 -0.20 1.89
O -0.62 1.04 1.81
O -1.22 -0.73 2.90
H 0.64 -0.31 0.19
H -1.06 -1.07 0.22
H 0.40 -1.85 0.79
C -4.69 3.68 2.64
=====

DHCP Snooping – Filter those broadcasts!

I had a specific requirement recently and I wanted to test it’s behaviour. In particular the feature is DHCP snooping. Let’s quickly go over the DHCP process at a high level to see how it works: DHCP Let’s take the following simple diagram to show what’s going on. We have a switch with two hosts […]

ESXi whitebox server

I usually have access to an ESX box at work where I can run multiple VMs and virtual routers for labbing and testing. I’ve also wanted one at home. It’s nice to be able to quickly spin up VMs when needed without always running them through my laptop. While virtual routers don’t need lots of […]

Basic OOP Python

I’ve just started with object oriented programming in Python so I thought I’d cover some of the basics here. Please don’t assume this is a thourough tutoriol on OOP! The beauty of OOP is that it allows me to create a template with which I can create objects. The building blocks of the object sit […]

python interface-checker

I’d like helpdesk to be able to enable and disable switchports without requiring them to know the underlying OS. My plan is to have a webpage with a list of devices. When you click on a device it will check the interfaces status via SNMP and display administrative and operational status of all interfaces on […]

Debian/Ubuntu PMTUD & uRPF

I originally started my PMTUD posts using Ubuntu 14.04. Halfway through the post I simply could not get Ubuntu to change it’s MTU on receipt of ICMP fragmentation needed messages. I then tried Debian and it worked. Windows also had no issues changing it’s MTU. Wanting to finish off the post I switched to Debian […]

Fundamentals – PMTUD – IPv4 vs IPv6 – Part 2 of 2

This is a continuation of a post I started back here. Please read it first before starting below. RFC 4821 Another workaround we can use is Packetization Layer Path MTU Discovery – RFC 4821. The RFC enables a host to mainly acts in one of two ways: Use regular PMTUD. If no acknowledgments are received […]

Fundamentals – PMTUD – IPv4 & IPv6 – Part 1 of 2

One of IPv6′s features is the fact that routers are no longer supposed to fragment packets. Rather it’s up to the hosts on either end to work out the path MTU. This is different in IPv4 in which the routers along the path could fragment the packet. Both IPv4 and IPv6 have a mechanism to […]

Demystifying the IS-IS database

+++
Density functional theory data (wB97M-V/def2-TZVPD) for a structure of composition C51H78MnN3O3.

Each line ends with the Mulliken charge.
Element x y z (Å)
C: -0.373 -5.248 0.311  -2.591
H: -3.184 -2.369 -5.611  0.363
C: -1.874 0.703 -1.714  -0.062
H: -2.938 0.666 4.419  0.489
H: 0.670 -6.296 4.292  0.287
H: -0.758 -5.601 -0.648  0.479
H: -4.868 -2.492 -6.134  0.453
C: -0.116 -1.422 3.473  -0.174
H: -1.356 2.414 4.827  0.485
H: -4.436 0.706 2.413  0.635
H: 0.941 -3.126 -0.733  0.230
H: -0.559 -3.393 -1.646  0.612
H: -2.588 -2.639 0.509  -0.046
H: -2.739 -4.252 1.234  0.326
H: 4.454 -0.912 2.050  0.454
H: 4.431 2.892 -3.422  0.289
H: 1.531 2.017 -3.725  0.609
C: -0.146 -3.008 -0.708  -1.375
C: -3.140 0.275 -1.224  0.063
C: 2.098 4.272 -0.443  -0.560
H: 1.585 -6.421 5.802  0.478
H: -3.762 2.242 2.865  0.468
C: 3.304 5.990 -2.417  -2.191
H: 4.762 0.133 -1.442  0.392
O: -1.042 1.318 -0.926  0.381
H: 2.915 3.687 -3.850  0.258
C: 0.474 -4.008 2.699  -0.436
C: 0.980 -5.750 5.184  -1.681
H: -6.712 -1.686 -4.797  0.477
C: 2.234 -3.815 6.106  -2.202
H: 0.691 -5.030 2.411  0.443
H: 0.274 1.857 -5.650  0.454
C: 4.034 0.090 1.921  -1.722
H: 3.676 -5.558 4.639  0.462
H: 0.815 4.292 2.359  0.626
H: 2.448 -0.663 -1.072  0.217
H: -5.387 -3.714 -4.026  0.461
C: 1.953 2.220 0.878  -0.189
C: -0.302 -0.008 4.017  -2.385
C: 3.949 4.622 -2.186  2.166
H: 2.280 5.885 -2.782  0.382
H: 0.083 -5.479 5.743  0.332
H: -2.648 -4.067 -0.532  0.493
C: -2.481 -0.308 -3.833  -0.286
H: 3.289 6.579 -1.498  0.376
H: 0.908 -1.887 5.274  0.543
C: 3.107 1.728 0.180  -0.276
O: 1.321 1.541 1.806  -0.793
C: 0.684 1.792 -3.068  -2.511
H: 5.938 3.908 -1.643  0.284
C: 0.522 -0.439 -4.118  -1.721
C: 5.406 4.854 -1.749  -1.747
C: -1.575 0.437 -3.085  0.276
C: -0.635 1.550 -5.125  -2.080
C: 0.375 4.117 1.371  -1.873
H: -2.583 -0.527 3.155  0.464
C: -4.637 -1.667 -4.151  2.206
H: 4.774 0.825 2.250  0.398
C: 3.215 3.812 -1.120  -0.397
H: 2.967 -1.735 0.250  0.735
H: -4.944 -0.777 -1.605  0.399
C: 2.627 -0.725 0.004  -1.403
H: 0.197 2.730 -2.802  0.367
C: -6.043 -1.054 -4.206  -1.837
H: 5.724 0.783 -0.096  0.455
H: -6.010 -0.063 -4.663  0.372
H: -4.676 0.563 0.216  0.524
C: 3.682 2.540 -0.783  -0.288
H: -1.355 3.556 -0.404  0.591
H: -5.077 -2.957 -2.452  0.336
C: 0.599 -2.274 4.307  -0.363
C: -3.694 -0.776 -3.346  -0.467
N: -1.162 0.947 3.307  1.797
C: 3.941 3.861 -3.521  -1.494
C: 4.943 0.069 -0.366  -2.537
H: -0.807 -5.868 1.099  0.416
H: 1.378 -3.537 6.725  0.365
C: -3.498 1.277 2.438  -1.406
H: 0.178 2.380 3.927  0.432
C: -0.271 0.843 -3.809  3.022
C: 1.473 3.508 0.529  0.952
C: -2.554 0.535 3.392  -1.268
H: -2.442 3.527 2.915  0.412
H: -2.158 4.737 0.649  0.358
H: 5.436 5.368 -0.786  0.357
H: 4.554 2.168 -1.306  0.382
C: -4.715 -3.047 -3.477  -1.616
H: -3.934 3.333 1.088  0.613
H: 1.680 -0.567 0.518  -0.243
H: -1.230 2.442 -4.918  0.442
N: -0.857 3.336 1.571  1.626
C: 0.932 -3.566 3.943  -0.357
O: -1.136 -1.047 1.367  0.187
H: 2.859 -4.501 6.683  0.436
C: -4.001 -0.443 -2.032  -0.716
+++

I’ve gone over the OSPFv2 and OSPFv3 databases in depth before. Now is the time for IS-IS. As always, I’ll start from a basic two router set up and add devices to the topology. Basic LSPs In OSPF we use the term LSA, Link-State Advertisement. In IS-IS we use the term LSP – Link-State PDUs. […]